Five months after the floods affecting 20 million people in Pakistan, the country is still in a state of shock. Shouket Ali, general secretary of the APTUC (1), talks about the consequences of the disaster on the world of work and the current trade union priorities.
What are the APTUC’s priorities?
Education and training are our top priority as this is a poor country where the literacy rate is no more than 50%. At one time, the legislation set a quite low wage limit over which workers could not join a union, they could only join associations of supervisory or managerial staff. Only the poorest workers, usually the least educated, were able to join unions, so we have to invest heavily in education and training for our members.
Another priority is increasing our membership base. The APTUC only has 150,000 members at present. That may seem a lot, but Pakistan has a population of around 180 million people. Only 5% of workers are unionised. This meagre percentage is owed to the fact that the legislation prohibits workers in many sectors from joining a union, such as health and education workers, for example.
Are the consequences of the floods not a priority for the trade union movement?
To some extent, yes, but the whole nation is rallying to this cause. The floods are a great handicap for society as a whole, huge numbers of Pakistanis have been affected. Pakistan’s trade unions are involved in a range of humanitarian aid projects, thanks to support from organisations such as the ITUC, Education International, Public Services International and Building and Wood Workers’ International. There are projects, for example, to help people who have lost their glasses, their hearing aids or artificial limbs in the panic surrounding the floods. The aid will also be used to treat victim’s traumas, to meet nutritional requirements, resolve water pollution problems, etc.
There is a lot of support and sympathy within the international trade union movement for the flood victims. Having said that, huge international aid is already reaching Pakistan; it is managed either by the Pakistani government, the big NGOs or international organisations. There are many aid structures in place in the country and we think it is better to ally ourselves with these structures, as the trade unions are not equipped to manage situations of this nature on their own.
Reconstruction implies getting the victims back to work...
Indeed. And we want to be closely involved in rehabilitating and rebuilding the capacities of the workers affected by the floods. Initially, there was talk about the destruction of crops, houses, livestock, essential goods, etc. but the victims have also lost the ability to keep their jobs or find another one. Most of the flood victims are informal economy workers, people from rural areas or small towns: farm workers, small traders, self-employed people, small carpenters, weavers, etc. They have been displaced by the floods, taking them far away from their workplaces and often destroying their livelihoods.
We are worried about the future: at this moment in time, money is coming in, there is international attention, but it is only temporary. Disasters like these are usually forgotten quite quickly. The floods took place in August, the international community has done a great deal and we are very appreciative, but this honeymoon period is going to be over within the next few months, and what will happen then? What will happen when all our infrastructures have to be rebuilt, when we have to face all the difficulties arising from the power cuts?
____________
Record 1
Density functional theory data (ωB97M-V with the def2-TZVPD basis set) for a 9-piece molecular cluster, C27H81O36P9 overall.

Last column: Löwdin charge in e.
Positions of all 153 atoms, in Å:
C: -2.8166 1.4033 6.1594  -0.074
O: -1.4844 1.6637 6.6543  -0.204
P: -0.7586 3.0398 6.4416  0.447
O: -1.5450 4.2560 6.8344  -0.257
O: 0.6179 2.9424 7.3000  -0.222
C: 0.7241 3.3777 8.6294  -0.116
O: -0.3797 2.9365 4.8505  -0.226
C: -0.6529 4.0524 3.9750  -0.094
H: -2.9152 0.4223 5.6946  0.057
H: -3.1733 2.0068 5.3247  0.093
H: -3.5821 1.2830 6.9260  0.096
H: 1.5046 4.1291 8.7491  0.095
H: 0.9371 2.5978 9.3605  0.086
H: -0.2495 3.7316 8.9686  0.082
H: -1.3147 3.6261 3.2211  0.079
H: 0.1898 4.5302 3.4752  0.089
H: -1.1820 4.9062 4.3983  0.080
C: 4.9555 -3.4453 2.0371  -0.103
O: 5.2493 -3.9428 0.7257  -0.223
P: 5.5038 -2.9256 -0.5545  0.508
O: 5.3964 -3.5570 -1.9013  -0.239
O: 6.9869 -2.2725 -0.3300  -0.213
C: 8.0249 -3.1210 -0.1748  -0.163
O: 4.4997 -1.6835 -0.3104  -0.225
C: 3.0982 -1.9068 -0.2211  -0.104
H: 5.0728 -2.3637 2.1045  0.060
H: 5.6695 -3.8859 2.7328  0.092
H: 3.9071 -3.5952 2.2950  0.091
H: 7.7370 -4.1378 0.0923  0.095
H: 8.6155 -2.6916 0.6344  0.075
H: 8.6810 -3.1061 -1.0451  0.098
H: 2.6569 -2.6429 -0.8930  0.092
H: 2.5622 -0.9917 -0.4729  0.078
H: 2.7474 -2.1026 0.7921  0.073
C: 5.4733 0.5578 1.8497  -0.152
O: 5.3579 0.2202 3.1451  -0.204
P: 6.6127 -0.0248 4.1069  0.422
O: 7.5030 1.1710 4.2936  -0.242
O: 7.2940 -1.2587 3.4122  -0.222
C: 8.7001 -1.5209 3.6319  -0.068
O: 6.0346 -0.6421 5.4669  -0.189
C: 5.4098 -1.8712 5.5724  -0.114
H: 5.9786 1.5140 1.7147  0.103
H: 4.4685 0.5026 1.4308  0.093
H: 6.0668 -0.1534 1.2751  0.074
H: 8.8548 -2.3404 4.3338  0.092
H: 9.3331 -0.7038 3.9779  0.087
H: 9.1750 -1.7284 2.6729  0.073
H: 4.4086 -1.7976 5.9969  0.073
H: 6.0280 -2.4795 6.2325  0.099
H: 5.3034 -2.4194 4.6363  0.072
C: 0.7274 -0.4321 2.1646  -0.088
O: 0.2780 0.3778 1.0701  -0.231
P: -0.8488 -0.2198 0.0778  0.473
O: -0.4866 -1.2214 -0.9617  -0.227
O: -1.9669 -0.7323 1.1450  -0.241
C: -2.4690 0.1371 2.2064  -0.067
O: -1.5217 1.1708 -0.4832  -0.224
C: -2.4954 1.0246 -1.5362  -0.100
H: 0.2609 -0.0923 3.0892  0.073
H: 1.8149 -0.4429 2.2377  0.088
H: 0.3552 -1.4167 1.8815  0.088
H: -2.1379 -0.2578 3.1669  0.067
H: -3.5512 0.2655 2.2266  0.091
H: -2.0764 1.1459 2.0786  0.079
H: -3.2802 1.7092 -1.2145  0.087
H: -2.9207 0.0392 -1.7261  0.074
H: -2.3309 1.4132 -2.5412  0.072
C: -0.2665 1.9626 -6.9990  -0.040
O: 0.7052 2.8344 -6.2827  -0.233
P: 0.7507 3.1112 -4.6569  0.534
O: 1.5615 4.2771 -4.2020  -0.249
O: -0.8381 3.1137 -4.1528  -0.271
C: -1.5579 4.3753 -4.0140  -0.075
O: 1.3275 1.6954 -4.0455  -0.228
C: 1.1003 1.3235 -2.7272  -0.150
H: -0.9083 1.6271 -6.1845  0.060
H: 0.3246 1.1514 -7.4241  0.076
H: -0.8104 2.4418 -7.8130  0.076
H: -1.0399 5.2844 -3.7084  0.086
H: -2.3673 4.2358 -3.2974  0.079
H: -1.8612 4.4901 -5.0546  0.084
H: 0.6234 2.1237 -2.1612  0.084
H: 1.9991 0.9291 -2.2532  0.094
H: 0.2977 0.5907 -2.6443  0.057
____________
What impact have the floods had on trade union matters?
The main impact has been on the government’s agenda, as most of the damage has been to infrastructures: bridges, roads, etc. Their repair is going to require huge government investment. This will mean cuts to its development and aid projects, to its subsidies to the ordinary people of Pakistan. It constitutes an indirect damage for the trade union movement, because, at the end of the day, it means the workers are going to receive less.
Moreover, the government has changed its priorities. It was preparing to announce a rise in minimum wages, but we can forget about that, as it says we are facing an emergency now. Some months ago, we were talking about new labour legislation, about extending social security to the informal economy. These projects still exist on paper, but how can all this be implemented without the financial resources required?
So you had initiated a process of social dialogue prior to the floods...
Yes, the workers and employers had come together to form a structure, the Workers-Employers Bilateral Council, which promoted social dialogue. The ILO, the FES (2) and the Solidarity Center played a major role in setting up this structure. The social partners managed to come to an agreement on a consensus document concerning a simplification of the labour legislation. Just as the social dialogue was about to come to something, serious violence broke out in the country, and then came the floods. We are waiting for a more fitting moment to continue down the social dialogue path.
Are you able to conduct trade union activities across the whole of Pakistan?
Pakistan is engaged in a war on terror that has given way to a wave of troubles in two major provinces, Baluchistan and Khyber Pakhtunkhwa, but there are security fears throughout the country.
[Misplaced data records]
********
A 2-piece molecular cluster, C4H14N3 overall. Source: the Open Molecules 2025 dataset; level of theory: wB97M-V/def2-TZVPD.

Structure (XYZ):
```
21
Properties=species:S:1:pos:R:3:forces:R:3:lowdin_charge:R:1
N 1.10367 0.34361 0.70428 -1.1249 2.1220 -2.5518 0.0685
N -0.56569 1.75038 1.65048 -1.5650 0.6591 1.9411 0.1706
N 0.21438 2.12636 -0.58945 -2.0338 0.6478 2.2228 0.1751
C -1.08743 -3.13754 -0.29021 -3.5988 -0.5060 3.8344 -0.1907
C 0.18055 1.38881 0.59796 1.9429 -1.0254 0.5160 -0.3472
C 1.73116 0.00732 -0.56509 -2.0347 -0.7238 -4.8279 -0.0998
C -1.26945 -1.98281 -1.16371 -0.0487 3.4949 1.7658 -0.2127
H -2.00099 -3.84766 -0.27434 1.4821 0.9537 -0.4315 0.1005
H -0.22440 -3.69372 -0.51819 1.1731 -0.6867 0.2344 0.0447
H -0.37177 -1.29283 -0.99683 -1.4371 -1.0252 -0.8738 0.0269
H 0.39718 1.64332 -1.42422 0.3721 -0.8018 -0.7808 0.0673
H 1.04304 -0.65728 -1.32261 1.0713 1.3344 2.2603 0.1131
H -1.23192 2.52476 1.51890 0.6700 -0.5756 -0.2198 0.1314
H -0.70993 1.39646 2.69679 1.3137 0.2779 -3.4703 0.2141
H 1.34292 -0.18020 1.53016 -0.4718 0.2155 0.1956 0.1587
H 2.60156 -0.58087 -0.70757 1.1859 -0.2788 1.4912 0.0804
H 1.85256 0.84743 -1.33457 0.6081 -0.7116 2.0451 0.1024
H -2.14223 -1.34010 -0.85964 0.6128 -0.6435 0.0318 0.0877
H -1.49731 -2.20372 -2.14447 0.2340 -0.4634 -2.4018 0.0436
H -0.46333 2.88622 -0.81683 0.5971 -0.9252 1.1179 0.1563
H -1.19086 -2.69884 0.82256 1.0517 -1.3383 -2.0986 0.1092
```
Positions in Å, forces in eV/Å.

Results
- relative energy (zero: lowest compared OMol25 entry of this formula, charge and spin) (kJ/mol) = 254.5
- orbital gap (eV) = 10.81
- lowest unoccupied orbital energy (eV) = -3.17
- net charge = +1


No. 1
ORCA calculation (ωB97M-V with the def2-TZVPD basis set) on a molecular structure, C16H30N6NiO.

- spin multiplicity = 3
- charge = +2
- orbital gap (spin up / spin down) (Eh) = 0.3476 / 0.3174
- max |F| (Eh/bohr) = 0.0141
- E (Eh) = -2539.3068
- ⟨S²⟩ = 2.005
- LUMO energy (spin up / spin down) (eV) = -5.75 / -6.58

Last column: Mulliken spin population.
Element x y z (Å)
Ni1 -0.25064 0.12759 -0.30600  1.69
C1 -1.11183 3.02137 0.72884  0.01
C2 -0.41655 2.34231 1.89635  -0.01
N1 0.01768 0.94348 1.61177  0.08
C3 -0.79038 -0.11031 2.27838  -0.01
C4 -0.12418 -1.44890 2.01578  0.00
N2 -0.23100 -1.78299 0.56601  0.06
C5 0.70905 -2.84453 0.09973  0.00
C6 2.09486 -2.38137 -0.34082  0.00
C7 2.14912 -1.20353 -1.30760  0.00
N3 1.82884 0.03779 -0.56455  0.07
C8 2.26611 1.31573 -1.16918  -0.01
C9 1.18835 1.86364 -2.07800  0.01
N4 -0.09616 1.93824 -1.33261  0.08
C10 -0.24823 3.18184 -0.52121  -0.01
H1 -2.04899 2.50974 0.49803  0.00
H2 -1.39531 4.02158 1.06213  0.00
H3 0.48005 2.91143 2.14801  0.00
H4 -1.05416 2.34415 2.78144  0.00
H5 0.95511 0.82279 1.97942  0.00
H6 -0.89238 0.05866 3.35347  0.00
H7 -1.80178 -0.08838 1.85928  0.00
H8 0.93567 -1.40466 2.28000  0.00
H9 -0.57143 -2.22363 2.64067  0.00
H10 -1.16418 -2.16189 0.45015  0.00
H11 0.80842 -3.59458 0.88744  0.00
H12 0.22382 -3.33195 -0.74865  0.00
********
[Back to the article]
The trade unions therefore have to be very careful. Most of our activities are based in the two peaceful provinces of Sindh and Punjab. We have contacts in the other two, but they are not very strong, as it is really risky to operate there. There are other factors making trade union activities extremely difficult. In Pakhtunkhwa, for example, women do not have the right to vote, and they are not supposed to belong to trade unions. And just next door, there are tribal areas still governed by special laws. There are practical and geographical realities that go back hundreds of years in this region and that explain why trade union activity is so difficult there.
What is the situation as regards women’s involvement in the APTUC?
At present, over 70% of our members are men, but we attach great importance to women members. One has to bear in mind, however, that we live in a rather conservative society. There are religious factors to take into account; it would be very difficult to ask women production workers to sit side by side with men at trade union meetings, their husbands or parents would not allow it. We have started to invite women (not only women workers) to meetings where we discuss the right to education, social security, issues affecting the whole family. Women have thus been able to take part in our activities and feel at ease. Little by little, a relationship of trust is being built up with these women and their families, everyone realises that they are safe even though they are away from home, and we can start to inform them about other issues. We speak to them, for example, about the institution specialised in microcredits for women, and can put them in touch with this organisation.
Here the article breaks off for records of molecules:
********
--- a ---
Computed, not measured: the ion C3H9N2O with charge -1, with wB97M-V/def2-TZVPD.

Cartesian coordinates (Å):
C (0.104, -0.779, 0.227)
N (0.240, 0.007, -0.988)
C (-1.077, 0.762, -1.304)
O (-2.182, 0.067, -1.150)
C (0.535, 0.054, 1.413)
N (2.011, 0.058, 1.657)
H (-0.924, -1.140, 0.335)
H (0.677, -1.704, 0.119)
H (0.317, -0.635, -1.776)
H (-1.004, 1.686, -0.666)
H (-0.861, 1.103, -2.337)
H (0.277, 1.088, 1.204)
H (0.090, -0.175, 2.379)
H (2.234, -0.755, 2.221)
H (2.468, -0.056, 0.759)

Output
net charge: -1
E_LUMO: 0.159 Ha
2S+1: 1

---

--- b ---
Computed, not measured: the ion C3H9N2O with charge -1, with wB97M-V/def2-TZVPD.

Cartesian coordinates (Å):
C (-0.469, 0.060, -1.254)
C (-0.132, 1.052, 1.111)
C (-0.014, -0.176, 0.200)
N (1.268, -0.748, 0.006)
N (1.279, -2.311, 0.228)
O (0.412, -2.801, 1.117)
H (-0.409, 1.157, -1.546)
H (0.184, -0.386, -1.987)
H (-1.546, -0.392, -1.420)
H (0.903, 1.695, 0.982)
H (-0.174, 0.852, 2.100)
H (-0.968, 1.850, 0.889)
H (-0.437, -1.025, 0.824)
H (1.828, -0.238, 0.663)
H (1.226, -2.708, -0.760)

Output
net charge: -1
E_LUMO: 0.153 Ha
2S+1: 1

---

Name the most stable of them. a.

---

--- a ---
Computed, not measured: an isolated molecule of C5H6BrNO, with wB97M-V/def2-TZVPD.

Cartesian coordinates (Å):
C (0.871, 0.104, 1.611)
C (-0.641, 1.886, 0.121)
C (0.956, -0.948, 0.622)
C (-0.386, -0.943, -0.225)
C (-0.448, 0.042, -1.394)
N (-0.760, 1.449, -1.045)
O (1.178, 0.277, 2.736)
Br (-0.679, 3.649, 0.671)
H (1.639, -0.663, -0.104)
H (0.989, -1.878, 1.082)
H (-0.767, -1.972, -0.620)
H (-1.172, -0.710, 0.376)
H (0.496, -0.116, -1.821)
H (-1.275, -0.176, -2.009)

Output
E_LUMO (spin up / spin down): 0.005 / -0.016 Ha
2S+1: 1

---

--- b ---
Computed, not measured: a cluster of 2 separate species, C5H6BrNO in total, with wB97M-V/def2-TZVPD.

Cartesian coordinates (Å):
C (0.551, -1.242, 0.764)
C (1.714, 0.573, -0.601)
C (-0.847, 0.782, 1.111)
C (-0.849, -0.530, -1.167)
C (-0.270, -0.229, 0.188)
N (1.118, -2.114, 1.231)
O (1.674, 0.879, -1.734)
Br (3.280, 0.672, 0.519)
H (-1.689, 0.227, 1.634)
H (-1.484, 1.627, 0.580)
H (-0.148, 1.203, 1.850)
H (-1.224, 0.451, -1.596)
H (-1.707, -1.281, -1.025)
H (-0.121, -1.019, -1.753)

Output
E_LUMO (spin up / spin down): -0.034 / -0.034 Ha
2S+1: 1

---

Name the most stable of them. b.

---

--- a ---
Computed, not measured: a cluster of 2 separate species, C2H4ClNO in total, with wB97M-V/def2-TZVPD.

Cartesian coordinates (Å):
C (-1.967, -0.139, 0.099)
C (1.937, -1.124, 0.040)
N (-1.479, 0.880, 0.542)
O (1.251, -1.857, -0.623)
Cl (-3.657, -0.632, 0.048)
H (-1.423, -0.886, -0.394)
H (2.015, -0.080, -0.182)
H (2.545, -1.453, 0.865)
H (-1.958, 1.614, 1.083)

Output
E_LUMO: 0.030 Ha
2S+1: 1

---

--- b ---
Computed, not measured: a cluster of 2 separate species, C2H4ClNO in total, with wB97M-V/def2-TZVPD.

Cartesian coordinates (Å):
C (1.554, 0.840, 0.033)
C (-0.275, -0.659, -0.430)
N (-1.386, -0.602, 0.368)
O (2.668, 0.454, 0.123)
Cl (-2.518, 0.699, 0.065)
********
Interview by Samuel Grumiau
(1) All Pakistan Trade Union Congress
(2) Friedrich Ebert Stiftung